
Find and replace utility for node.js. Transform strings by running multiple RegExp or string find-and-replace patterns on a string in sequence, reducing the final string to the accumulated result of each transformation. Patterns can be strings (or arrays
expression expressions find format match matches modify pattern patterns and 22 more...

frep NPM version

Find, replace and string tranformation utility for node.js. Modify strings by passing an array or object of RegExp or string replacement patterns. Patterns can be strings, arrays of strings or regex, replacements can be strings or functions.

**Next to the entry, the page also holds calculated molecules**
┌──
Computed, not measured: a 7-piece molecular cluster, C31H31Cl3N6 overall in a non-equilibrium geometry, with wB97M-V/def2-TZVPD.

Last column: Mulliken charge in e.
Element x y z (Å)
Cl  -7.154  7.635  7.782  -0.1244
Cl  -8.263  4.900  7.649  -0.1337
Cl  -10.055  7.171  7.295  -0.0969
N  -17.058  3.972  4.592  -0.5487
N  -3.472  3.398  2.057  -0.5533
N  -5.400  5.118  13.977  -0.5292
N  -11.413  -0.587  1.285  -0.5550
N  -17.050  9.091  8.516  -0.5033
N  -10.211  10.839  12.544  -0.5097
C  -10.530  12.087  12.167  -0.1388
C  -10.574  0.380  1.604  -0.1495
C  -18.230  11.649  8.450  -0.2443
C  -3.485  3.157  3.396  -0.2004
C  -11.400  11.311  14.617  -0.3886
C  -15.198  4.138  3.092  -0.3600
C  -11.250  12.976  12.882  -0.4579
C  -4.275  6.449  15.624  -0.4110
C  -11.010  0.222  3.912  -0.1697
C  -8.582  6.629  8.120  0.0545
C  -11.644  12.596  14.143  -0.0687
C  -4.029  5.322  16.390  -0.1152
C  -2.671  2.595  1.285  -0.1186
C  -18.926  10.482  8.229  -0.2678
C  -16.321  10.254  8.738  -0.2498
C  -4.930  6.266  14.382  -0.0872
C  -4.572  4.065  16.063  -0.3284
C  -5.290  4.055  14.851  -0.2726
C  -17.775  3.413  3.649  -0.1398
C  -15.807  4.366  4.306  -0.1524
C  -1.965  1.397  3.162  -0.1649
C  -11.975  -1.302  2.321  -0.1262
C  -10.734  10.423  13.746  -0.2264
C  -2.737  2.147  3.975  -0.3497
C  -11.756  -0.948  3.655  -0.3875
C  -15.997  3.726  2.051  -0.2290
C  -18.350  9.208  8.147  -0.1891
C  -17.303  3.292  2.326  -0.3494
C  -10.430  0.902  2.874  -0.3686
C  -1.926  1.583  1.807  -0.3442
C  -16.908  11.564  8.702  -0.3480
H  -1.278  1.058  1.121  0.3394
H  -10.049  1.897  3.054  0.3555
H  -10.926  0.574  4.930  0.3652
H  -1.354  0.636  3.624  0.3345
H  -3.966  7.444  15.909  0.3466
H  -2.515  2.826  0.241  0.3365
H  -4.328  3.326  16.813  0.3430
H  -3.912  3.894  4.060  0.3650
H  -10.278  1.020  0.786  0.3456
H  -2.836  1.965  5.035  0.3558
H  -4.887  7.096  13.692  0.3543
H  -12.170  13.314  14.754  0.3412
H  -15.541  3.741  1.072  0.3597
H  -5.848  3.180  14.552  0.3661
H  -18.746  12.592  8.350  0.3712
H  -3.434  5.358  17.291  0.3339
H  -18.822  3.230  3.843  0.3500
H  -12.686  -2.092  2.126  0.3517
H  -19.978  10.475  7.985  0.3025
H  -11.496  13.990  12.601  0.3476
H  -10.381  9.471  14.115  0.3613
H  -15.255  4.882  5.078  0.3688
H  -14.187  4.444  2.866  0.3572
H  -12.291  -1.403  4.475  0.3388
H  -18.001  2.893  1.604  0.3431
H  -16.302  12.452  8.803  0.3492
H  -18.857  8.308  7.832  0.3871
H  -9.962  12.329  11.280  0.3950
H  -15.333  10.023  9.109  0.3922
H  -11.721  11.066  15.619  0.3459
H  -8.547  6.607  9.209  0.2995

For the HOMO energy, the calculation gives -9.440 eV. As for the spin multiplicity: 1.


Computed, not measured: C31H32AuBN9 as an isolated structure, with wB97M-V/def2-TZVPD.

Last column: Mulliken charge in e.
Element x y z (Å)
Au  -0.587  -0.466  0.981  0.4187
N  0.542  2.164  -0.908  -0.9945
N  0.096  1.503  -1.856  1.9823
N  0.505  -2.125  1.631  -0.2454
N  -1.520  -0.344  -2.230  1.3852
└──
**Here the entry continues**


Install with npm:

npm i frep --save-dev


var replace = require('frep');

**Attached: data records**
┌──
Molecular formula: C5H14
Method: DFT, wB97M-V/def2-TZVPD

Bonds (Å) are listed after each position.
Geometry (Å):
1 C -1.5320 0.8772 -0.4677  H4 1.093, C11 1.502, C16 1.531, H17 1.096
2 H 1.0611 -2.2307 -0.0772  C15 1.090
3 H -0.5450 2.7142 -0.8529  C16 1.096
4 H -0.6203 0.3635 -0.7849  C1 1.093
5 H -2.6209 -0.8665 0.3871  C11 1.096
6 H -0.5121 2.2559 0.8889  C16 1.084
7 H 3.3727 -2.7031 -0.5627  C10 1.090
8 H 3.0775 -2.2380 1.1135  C10 1.095
9 H 3.9288 -1.1595 0.0000  C10 1.091
10 C 3.1030 -1.8677 0.0837  H7 1.090, H8 1.095, H9 1.091, C15 1.552
11 C -2.3403 0.1746 0.5853  C1 1.502, H5 1.096, H12 1.091, H19 1.092
12 H -1.7201 0.0706 1.4766  C11 1.091
13 H 1.2992 -0.5682 0.3954  C15 1.086
14 H -1.9498 2.9519 0.1473  C16 1.094
15 C 1.6791 -1.3508 -0.2548  H2 1.090, C10 1.552, H13 1.086, H18 1.084
16 C -1.1052 2.2770 -0.0188  C1 1.531, H3 1.096, H6 1.084, H14 1.094
17 H -2.1066 1.0308 -1.3886  C1 1.096
18 H 1.7418 -1.0470 -1.2939  C15 1.084
19 H -3.2557 0.6848 0.8935  C11 1.092

Summary:
E_tot = -5411.774 eV
Charge = 0
Gap between HOMO and LUMO = 0.4572 Eh
Max |F| = 1.66 eV/Å
Highest occupied orbital energy = -11.36 eV
Energy relative to the best compared isomer or geometry (same formula, charge and spin) = 26.62 kJ/mol
Multiplicity = 1
SMILES string = CCC.CC

Charge distribution, Löwdin scheme, values in e: -0.331 0.064 0.069 0.078 0.068 0.065 0.058 0.059 0.057 -0.174 -0.134 0.067 0.051 0.070 -0.167 -0.130 0.100 0.059 0.073

=====

[1]
The following is a quantum chemistry calculation of a structure of composition C32H36BaF3N2O5Sb, from the Open Molecules 2025 dataset.

The geometry in ORCA input format:
```
! wB97M-V def2-TZVPD RIJCOSX def2/J DEFGRID3
* xyz -2 1
Ba -0.50970 -0.75832 -0.50385
O -0.45628 -0.58114 -4.02752
C 0.75910 -1.14189 -4.47408
C 0.85251 -2.62592 -4.17127
N 1.00362 -2.86763 -2.74340
C 2.39304 -2.93203 -2.30390
C 2.80840 -1.84651 -1.28564
O 3.93408 -1.33960 -1.40396
O 1.94365 -1.58113 -0.40015
C 0.13221 -3.91414 -2.24048
C -1.36226 -3.57575 -2.47964
O -2.12175 -4.47278 -2.84227
O -1.66659 -2.35113 -2.27647
H -0.93211 -1.23990 -3.47319
H 1.60851 -0.63215 -3.99638
H 0.84048 -0.97450 -5.55619
H 1.68139 -3.07460 -4.74111
H -0.06833 -3.10301 -4.52040
H 3.06173 -2.83390 -3.16268
H 2.59891 -3.90636 -1.84146
H 0.28588 -3.98952 -1.15923
H 0.33898 -4.90082 -2.68396
C -0.80084 1.93622 3.56592
C -1.79571 2.87575 3.33686
C -2.16477 3.16402 2.03788
C -1.53249 2.51599 0.96882
N -0.57087 1.60717 1.20252
C -0.23193 1.32963 2.45996
C -1.91906 2.77063 -0.44293
C -2.39968 4.04211 -0.78759
C -2.81980 4.29338 -2.08177
C -2.74711 3.26699 -3.02110
C -2.23406 2.02553 -2.66267
C -1.79517 1.70662 -1.36075
H -0.49112 1.65996 4.56437
H -2.29500 3.36213 4.16732
H -2.96581 3.86156 1.83508
H 0.53094 0.56695 2.58550
H -2.42388 4.84478 -0.05448
H -3.18138 5.27750 -2.36044
H -3.07235 3.44745 -4.04260
H -2.15544 1.27119 -3.44169
C 4.50794 3.11155 -3.00031
C 3.85085 1.74960 -2.80976
Sb 2.03116 1.65901 -1.62076
C 3.01060 1.53685 0.29924
C 4.08713 2.57134 0.60067
└──

// Patterns can be strings, regex or arrays.
// Replacements can be strings or functions.
var replacements = [
    pattern: 'a',
    replacement: 'x'
    pattern: /b/,
    replacement: 'y'
    pattern: /c[\S]+/,
    replacement: function(match) {
      return match.toUpperCase();

console.log(replace.strWithArr('abcdefg', replacements));
//=> 'xyCDEFG'


// Transform a string with an array of replacement patterns
replace.strWithArr(String, replacements);
// Transform an array of strings with an array of replacement patterns
replace.arrWithArr(Array,  replacements);
// Transform a string with an object of replacement patterns
replace.strWithObj(String, replacements);
// Transform an array of strings with an object of replacement patterns
replace.arrWithObj(Array,  replacements);

.strWithArr( string, array )

Transform a string with an array of replacement patterns.


  • String: The string to modify with the given replacement patterns.
  • Array: Array of objects containing the replacement patterns, each including a pattern property (which can be a string or a RegExp), and a replacement property (which can be a string or a function to be called for each match).
  • A new string is returned with some or all matches replaced by the given replacement patterns.

Example 1

Given the following:

var patterns = [
    pattern: /[ABC]/g,
    replacement: '###'
    pattern: /[XYZ]/g,
    replacement: '$$$'

replace.strWithArr(str, patterns));
// => #########DEFGHIJKLMNOPQRSTUVW$$$$$$$$$

patterns as arrays

Patterns may also be arrays. When replacement patterns are formatted as arrays Frep will first transform the array into a corresponding RegExp group:

Example 2

['[ABC]', '[XYZ]']

gets converted to:


Example 3

So the following will produce a similar result to Example 1, except ### is used to replace all patterns:

var patterns = [
    pattern: ['[ABC]', '[XYZ]'],
    replacement: '###'

replace.strWithArr(str, patterns));
// => #########DEFGHIJKLMNOPQRSTUVW#########

.arrWithArr( array, array )

Transform an array of strings with an array of replacement patterns


  • Array: The string to modify with the given replacement patterns.
  • Array: Same as replacStr, this is an an array of objects containing the replacement patterns, each including a pattern property, which can be a string or a RegExp, and a replacement property, which can be a string or a function to be called for each match.
  • A new array of strings is returned with some or all matches replaced by the given replacement patterns.

Given the following:

Example 4

var arr = [
  'Jon Schlinkert',
  'Brian Woodward'

var patterns = [
    pattern: /(B|S)/g,
    replacement: '###'
    pattern: /(J|W)/g,
    replacement: '$$$'

replace.arrWithArr(arr, patterns));
// => ["$$$on ###chlinkert", "###rian $$$oodward"]

An array of new strings is returned, with some or all matches in each string replaced by the given replacement strings.

.strWithObj( string, object )

Transform a string with an object of replacement patterns


  • String: The string to modify with the given replacement patterns.
  • Object: Object of replacement patterns, where each key is a string or a RegExp pattern, and each value is the replacement string or function to be called for each match.
  • A new string is returned with some or all matches replaced by the given replacement patterns.

Example 5

Given the following:

var str = 'ABC'
var replacements = {
  'A': 'AAA',
  'B': 'BBB',
  'C': 'CCC',
  'D': 'DDD',
  'E': 'EEE',
  'F': 'FFF'

replace.strWithObj(str, replacements));

.arrWithObj( array, object )

Transform an array of strings with an object of replacement patterns


  • Array: The array of strings to modify with the given replacement patterns.
  • Object: Object of replacement patterns, where each key is a string or a RegExp pattern, and each value is the replacement string or function to be called for each match.
  • A new array of strings is returned with some or all matches replaced by the given replacement patterns.

Example 6

Given the following:

var arr = ['ABC', 'DEF'];
var replacements = {
  'A': 'AAA',
  'B': 'BBB',
  'C': 'CCC',
  'D': 'DDD',
  'E': 'EEE',
  'F': 'FFF'

replace.arrWithObj(arr, replacements));

Usage example

replace.strWithArray( string, array )

Next to the page, the page also holds data records.
┌──
{
  "formula": "C5H12O3Si",
  "method": "ωB97M-V/def2-TZVPD",
  "symbols": ["C", "C", "C", "C", "C", "O", "O", "O", "Si", "H", "H", "H", "H", "H", "H", "H", "H", "H", "H", "H", "H"],
  "positions_angstrom": [[-1.85734, -1.01695, -0.25708], [-0.81446, 2.06144, -1.09537], [2.38571, 0.02642, 0.16700], [0.29590, -1.72837, 1.40829], [-0.26898, 1.39211, 0.15233], [-2.81304, -0.79618, 0.42456], [-0.86232, 1.74918, 1.25544], [0.30837, -0.96260, -1.56002], [0.50894, -0.42015, 0.05078], [-1.87958, -1.71851, -1.02628], [-1.90827, 1.78415, -1.41754], [-0.97501, 3.17136, -0.73478], [-0.16689, 1.89887, -1.89939], [2.92844, -0.96514, 0.40734], [2.60888, 0.57581, -0.74935], [2.52809, 0.67940, 0.99017], [0.75052, -1.45480, 2.28400], [-0.65821, -2.22654, 1.64100], [0.85579, -2.59473, 0.97276], [-1.76295, 2.19291, 1.01840], [0.79640, -1.64769, -2.03227]],
  "atomic_forces_ev_per_a": [[-1.31, 2.60, 2.73], [-2.66, 1.58, 2.30], [-1.00, -2.42, -0.03], [-0.98, -1.82, -2.71], [-0.58, -2.47, -2.42], [0.85, 0.00, -0.52], [-2.91, 1.32, 1.06], [0.23, 0.03, 0.23], [0.50, 0.78, -0.64], [0.22, -1.69, -1.85], [1.85, -0.04, 0.71], [0.77, -1.63, -1.28], [0.86, 0.27, -1.39], [-0.26, 1.72, -0.92], [0.56, -0.46, -0.02], [0.19, 0.65, 0.91], [1.27, 0.71, 2.26], [0.01, 0.76, -0.10], [0.11, 0.60, 0.35], [2.03, -0.86, 0.84], [0.22, 0.37, 0.49]],
  "nbo_charge": [0.3247, -0.7091, -1.1235, -1.1195, 0.0475, -0.5035, -0.6522, -1.1269, 1.6931, 0.1348, 0.2187, 0.2076, 0.2389, 0.2223, 0.2337, 0.2264, 0.2374, 0.2415, 0.2327, 0.4708, 0.5046],
  "e_tot_ha": -712.80995,
  "e_lumo_ha": [-0.01151, 0.01783],
  "relative_energy_kcal_mol": 128.3,
  "e_homo_ha": [-0.25433, -0.29115],
  "gap_ev": [6.61, 8.41]
}

* * * * *

[1]
C3H4O3 | the ωB97M-V functional and the def2-TZVPD basis

Atoms and positions in Å:
O: 1.779 1.151 -0.025
C: 0.583 0.723 -0.260
C: -0.335 0.146 0.797
O: -1.330 0.894 0.858
C: -0.992 -1.145 -1.141
O: -0.649 -1.454 0.047
H: 2.074 0.961 0.887
H: 0.157 1.042 -1.204
H: 0.151 -0.277 1.690
H: -1.440 -2.041 -1.650

Computed properties:
Net charge   0
E_HOMO (alpha / beta)   -0.27637 / -0.27651 Ha
ΔE to the lowest compared entry with this formula, charge and spin   152.53 kcal/mol
HOMO-LUMO gap (alpha / beta)   6.323 / 6.333 eV


[2]
C12H12N4OS2 | the ωB97M-V functional and the def2-TZVPD basis

Atoms and positions in Å:
N: 5.919 -2.432 3.945
O: -0.425 -1.246 -2.220
S: -0.282 1.849 1.684
C: 5.672 -2.316 2.822
S: 5.455 -2.085 1.012
C: -0.748 -0.414 -1.366
C: -0.783 0.866 0.430
C: 3.631 -0.995 -0.714
C: 2.856 -1.366 1.536
C: 2.360 -0.528 -1.045
C: 1.619 -0.827 1.226
C: 3.865 -1.441 0.576
C: 1.330 -0.386 -0.068
N: 0.058 0.150 -0.412
N: -2.085 -0.072 -1.098
N: -2.131 0.684 0.108
C: -3.277 -0.657 -1.712
C: -3.080 2.954 -0.411
C: -3.189 1.628 0.410
H: 4.402 -1.044 -1.470
H: 3.003 -1.775 2.521
H: 2.166 -0.188 -2.070
H: 0.853 -0.799 1.972
H: -3.810 0.112 -2.260
H: -3.953 -1.090 -0.942
H: -2.994 -1.475 -2.378
H: -3.029 2.762 -1.468
H: -2.183 3.511 -0.141
H: -3.902 3.621 -0.210
H: -4.167 1.169 0.253
└──

Slugify URL segments using frep

To run the example, first do: npm install frep underscore.string

var replace = require('frep');

// We'll use underscore string's slugify function for the first example
var _str = require('underscore.string');

// A custom slugification function for the second
var slugger = function(str) {
  return str.replace(/( |-|\.)/g, '_').toLowerCase();

// And a third slugification function for the last example
var sluggifier = function(str) {
  return str.replace(/( |\.)/g, '-');

// This is an object of data, where each property will be used
// to build up a URL that needs to be slugified.  e.g.
// => /foo/bar/baz
// (in reality, you would probably have an array of objects like this)
var obj = {
  foo: 'This is foo.',
  bar: 'ThIs iS bAr.',
  baz: 'THIS is BAZ.',

// Our custom replacement patterns. These are used to
// transform the data from each property
var patterns = [
    pattern: /:foo/g,
    replacement: _str.slugify( // underscore.string
    pattern: /:bar/g,
    replacement: slugger(  // custom function #1
    pattern: /:baz/g,
    replacement: sluggifier(obj.baz)  // custom function #2

// The first argument, a string, will be our "structure",
// which will determine where the values from each property
// will be placed. Run frep to see what happens!
console.log(replace.strWithArr(':foo/:bar/:baz', patterns));


Jon Schlinkert


Copyright (c) 2014 Jon Schlinkert, contributors. Released under the MIT license

This file was generated by verb-cli on May 14, 2014.

npm i frep


  • Unknown
  • >= 0.8.0
  • Jon Schlinkert
  • released 7/5/2014

